Just my personal observation :)
Hello my fellow Tauck friends...
I just want to share a thought... I believe... we should all lift our spirit as the light at the end of the tunnel is getting brighter!
We should change the approach/ dynamic of this Forum back to what it was before Covid- .. an informative forum, full of tips , experiences and fun anecdotes.... a place to share , as well as to inform other travelers , a place full off optimistic people and lots of dreamers... a place to share the excitement of going on vacation, to see other cultures and to eat great food.
It will mil but is more likely to occur gradually rather than as a light switch as more and more participants can actually take their tours. Just like the rest of our lives as we emerge from our safety shells and start doing the things we avoided for a year. And just to be real - it wasn't always a happy place before. I can definitely remember some heated or at least snarky threads.
Bon Voyage All
So who will be the first to post a post-COVID review???
Should be Smiling Sam since his comes soonest.
I had my first maskless haircut yesterday...
Claudia, AlanS - I will post a review of my Iceland tour in mid July. Seems likes others will have completed tours prior to that.
AlanS - I'm not sure I'd call it a 'post-COVID' review. More like a resumption of Tauck travel review. I did a similar review, detailing all of the COVID and safety protocols, for my trip to Jamaica in April.
I'm sure each tour, based on the countries visited, method of travel (land, small ship, riverboat), and departure/finish dates will be slightly (or hugely) different and will evolve as time passes.
**That said, getting information from earlier travelers, will likely be useful to later travelers. **It will kind of be like when everyone with a later tour was trying to get information about how to obtain the Egyptian visa upon entry and then finally a person that went on one of the only tours that actually happened pre-Covid explained, on the forum, the process. I found it very useful information.
I do wish those who have taken the few US trips Tauck has run would post some reviews. In particular how it went with covid protocols. We got a taste of that on the webinar Tauck did last month but would like to hear from actual travelers.
Just noticed yesterday that KLM requires you to replace your mask every 3 hours. Wonder what other airlines on long haul flights have the same rule.
We're all looking forward to post-COVID normalcy, insightful trip reviews, etc. But I think for a while, the greatest value of the forum may be helping all of us navigate the strict and changing rules of pandemic travel. For example, I just learned from Claudia that KLM will require me to change masks every three hours. That is, if I can fly at all this year--still can't figure out how to satisfy the Ponant test-within-72-hour rule when I'll already be in transit 72 hours before i board their ship. Aaack!
Hi Claudia Sails, hope your doing well.
**Here the text breaks off for molecular data:**
+++
A cluster of 2 separate species, C9H18BClF4N3O3 in total, computed with wB97M-V/def2-TZVPD.

Cartesian coordinates (Å):
C 2.199 -2.307 -0.720
C 0.715 -2.620 -0.872
Cl -0.089 -2.675 0.753
C -0.084 -1.717 -1.813
C -0.168 -0.208 -1.460
C -1.603 0.169 -0.922
N -1.638 0.655 0.448
C 0.142 0.663 -2.715
O 0.755 1.814 -2.207
B 1.660 1.186 -1.219
C 2.384 2.258 -0.220
F 1.766 3.498 -0.186
F 2.404 1.825 1.094
C 3.834 2.557 -0.592
F 4.360 3.547 0.189
F 4.613 1.471 -0.390
O 0.786 0.216 -0.516
H 2.347 -1.515 0.013
H 2.751 -3.196 -0.402
H 2.594 -1.919 -1.664
H 0.606 -3.644 -1.242
H -1.101 -2.126 -1.829
H 0.318 -1.853 -2.827
H -2.027 0.951 -1.563
H -2.274 -0.693 -0.988
H -1.129 1.531 0.495
H -1.153 -0.001 1.052
H 0.842 0.132 -3.385
H -0.764 0.901 -3.288
H 2.565 0.582 -1.849
H 3.923 2.861 -1.638
C -3.918 -0.580 3.425
O -4.433 -1.280 2.573
N -3.268 0.588 3.158
N -3.963 -0.923 4.760
H -2.853 1.146 3.878
H -3.137 0.863 2.191
H -4.424 -1.781 4.993
H -3.538 -0.378 5.484

Calculated values
M: 338.52 g mol⁻¹
HOMO-LUMO gap: 8.072 eV
net charge: -1
E_LUMO: 2.84 eV

A structure of composition C9H18BF4LiO5, computed with wB97M-V/def2-TZVPD.

Cartesian coordinates (Å):
Li -29.902 -18.768 6.304
B -32.564 -19.277 6.587
F -33.313 -20.157 5.626
F -33.438 -18.736 7.463
F -31.592 -19.930 7.248
F -31.946 -18.250 5.793
C -29.360 -16.204 5.175
O -28.487 -17.319 5.522
H -28.754 -15.417 5.368
H -30.209 -16.264 5.890
H -29.500 -16.197 3.993
H -27.578 -17.016 5.630
C -29.637 -17.564 8.883
O -29.006 -18.606 8.101
H -30.728 -17.457 8.735
H -29.268 -16.439 8.590
H -29.574 -17.951 9.926
H -28.244 -18.779 8.405
C -28.463 -21.344 6.173
O -28.719 -20.387 5.080
H -28.005 -22.279 5.756
H -29.344 -21.329 6.627
H -27.743 -20.921 6.838
H -27.783 -20.335 4.645
C -30.619 -18.548 2.717
C -29.414 -18.637 1.910
C -29.103 -17.704 0.846
C -29.957 -16.648 0.541
C -31.087 -16.525 1.379
C -31.455 -17.458 2.314
O -32.656 -17.305 2.938
O -28.176 -17.987 0.029
H -30.906 -19.142 3.508
H -28.623 -19.534 2.051
H -29.914 -15.908 -0.360
H -31.782 -15.815 1.089
H -32.809 -17.924 3.660
H -28.072 -17.452 -0.884

Calculated values
M: 299.98 g mol⁻¹
HOMO-LUMO gap: 7.078 eV
net charge: 0
E_LUMO: -0.42 eV

A cluster of 6 separate species, C9H18Cl12O3S3 in total, computed with wB97M-V/def2-TZVPD.

Cartesian coordinates (Å):
C -3.843 1.234 3.273
S -2.663 1.315 4.714
O -3.538 0.876 5.857
C -1.681 -0.175 4.239
H -4.731 1.836 3.466
H -4.191 0.201 3.247
H -3.382 1.411 2.301
H -2.301 -1.070 4.295
H -0.859 -0.199 4.954
H -1.123 -0.289 3.310
C -0.958 -2.151 -2.383
S -0.377 -3.968 -2.295
O -1.510 -4.933 -2.624
C 0.751 -3.901 -3.727
H -1.851 -2.010 -2.992
H -0.135 -1.463 -2.576
H -1.259 -1.933 -1.358
H 0.203 -3.665 -4.639
H 1.221 -4.868 -3.903
H 1.454 -3.080 -3.580
C 2.667 -1.084 -0.059
S 1.798 0.462 -0.602
O 1.054 0.375 -1.952
C 0.369 0.425 0.586
H 3.205 -0.861 0.863
H 3.314 -1.397 -0.879
H 1.929 -1.870 0.099
H 0.547 0.417 1.662
H -0.383 -0.316 0.314
H -0.231 1.325 0.449
C 4.996 -0.828 -3.701
Cl 6.104 -0.785 -5.161
+++
**End of the molecular data:**
regarding your comment... "I can definitely remember some heated or at least snarky threads", sure! there will always be some... but lately every post is so negative, that it really doesn't help ... I respect everyones opinions.. but we have to stop this pessimisntic trail we have fallen into...
even a friend , who is traveling on her first Tauck tour told me.. that she was worry about the people she was going to travel with.. that she read some post on the forum and really didn't like the attitude of some.. that some sounded very angry...:((
• Someone pasted data records at this point:
=====
Entry 1:
A structure of composition C11H28FN2NbO2P at a distorted geometry, computed with wB97M-V/def2-TZVPD.

Calculated values
Gap between HOMO and LUMO: 0.248 Ha
LUMO energy: 2.299 eV
Net charge: -1

Last column: Löwdin charge in e.
Element x y z (Å)
C1 4.36896 0.55541 1.56891  -0.107
C2 4.15147 -0.73750 0.78828  -0.276
C3 2.79133 -0.80819 0.10434  -0.223
C4 1.63815 -1.02852 1.08854  -0.272
C5 0.51053 -1.85317 0.51232  -0.331
C6 -0.55655 -2.30184 1.51466  -0.407
Nb1 -2.03662 -0.67898 2.15945  1.156
C7 -1.46831 0.92150 0.59910  -0.308
C8 -2.08281 2.20568 0.88176  -0.630
O1 -1.98757 2.92158 1.82055  0.061
F1 -2.88220 2.63738 -0.15246  0.015
P1 -0.34070 0.26389 3.86502  0.415
N1 -0.89006 -0.29106 5.26248  -0.426
H1 5.04594 0.39682 2.40387  0.063
H2 3.43957 0.93836 1.97942  0.065
H3 4.80123 1.31598 0.92513  0.065
H4 4.23268 -1.59632 1.45108  0.098
H5 4.93985 -0.84584 0.04492  0.094
H6 2.81139 -1.65949 -0.57671  0.100
H7 2.61166 0.08424 -0.49193  0.112
H8 2.01493 -1.52134 1.98483  0.103
H9 1.27279 -0.05765 1.41749  0.059
H10 0.06470 -1.34117 -0.34065  0.086
H11 0.97735 -2.75457 0.09878  0.097
H12 -0.08252 -2.75480 2.38717  0.022
H13 -1.16435 -3.09002 1.06914  0.013
H14 -3.30192 0.41647 2.90732  -0.131
H15 -2.63886 -1.93116 3.38766  -0.142
H16 -3.23173 -1.26998 0.89481  -0.132
H17 -0.39928 1.08942 0.50576  0.050
H18 -1.83732 0.57298 -0.35689  0.006
H19 1.01571 -0.11181 3.72297  -0.094
H20 -0.29542 1.67721 3.87155  -0.087
H21 -1.72058 -0.86453 5.16848  -0.136
C9 -0.39085 0.81068 -3.57271  -0.344
O2 -0.37609 0.91300 -2.36437  0.021
N2 -1.51039 0.94092 -4.31355  -0.199
C10 -1.50910 0.81946 -5.75318  -0.072
C11 -2.75749 1.21249 -3.61115  -0.033
H22 0.51383 0.60141 -4.17282  0.131
H23 -1.85991 1.74331 -6.21967  0.085
H24 -2.15815 0.00065 -6.07298  0.086
H25 -0.49792 0.61690 -6.10117  0.078
H26 -2.68259 2.13973 -3.04313  0.091
H27 -2.97866 0.41122 -2.90599  0.096
H28 -3.56409 1.29122 -4.33640  0.082

=====

Entry 2:
A cluster of 3 separate species, C11H28NO4S in total at a distorted geometry, computed with wB97M-V/def2-TZVPD.

Calculated values
Gap between HOMO and LUMO: 0.234 Ha
LUMO energy: -5.181 eV
Net charge: +1

Last column: Löwdin charge in e.
Element x y z (Å)
C1 -0.80098 -0.82567 -1.89159  0.016
C2 0.19936 0.07096 -1.34603  -0.423
C3 1.47270 0.32623 -2.02348  0.019
N1 -0.03215 0.69045 -0.18901  -0.317
S1 -0.64084 2.16560 -0.31852  1.034
H1 -0.51355 -1.21437 -2.85388  0.099
H2 -0.94484 -1.65888 -1.20333  0.115
H3 -1.74551 -0.29725 -1.96201  0.107
H4 1.48503 1.38424 -2.28452  0.112
H5 2.24422 0.20776 -1.27120  0.120
H6 1.63520 -0.32461 -2.86653  0.098
H7 -1.60848 2.23160 0.63507  -0.004
H8 -1.33817 2.22431 -1.48639  0.001
C4 -5.26279 -5.11853 -0.15657  -0.104
O1 -4.55977 -5.14264 1.07442  -0.185
C5 -3.15752 -5.27441 0.91932  -0.204
C6 -2.45361 -3.95531 1.13638  -0.195
O2 -2.75852 -3.01916 0.10232  -0.216
C7 -3.70670 -2.04773 0.50919  -0.113
H9 -6.29533 -4.85109 0.05836  0.092
H10 -4.84268 -4.38210 -0.84689  0.081
=====
Just an observation...
Wow! Can you imagine being asleep on an LA to Amsterdam overnight flight and having a flight attendant wake you up three hours into it to get you to change your mask. This seems like an extreme overkill and a brutal requirement to impose on flight attendants to monitor/enforce.
Surprised me too Rick. I found it at the Tauck website Travel &Health Info, Travel Requirements. They have links to about 10 different airlines. We're supposed to fly KLM in Sep and was more concerned about the ability to transfer flights there.
I've been debating buying a box of the same masks my hospital group uses. Spent 24 hours in theirs while in the hospital getting my knee replacement and they've become my favorite even over the ones I made myself. Very light weight and breathable.
Hi Smiling Sam,
very cool that you get to go on your trip... I'm still waiting to see if I'll be going to Jordan & Egypt next Sept. Please do report back ... I would love to hear about the COVID situation and how smooth is the procces around the airports ,you give great info.
Mil, your friend needn't worry. In any group there is the chance of moaner but thinking of my past Tauck trips I just remember the laughter and happiness to be there.
Sam, I'm with you that it seemed excessive but who knows if they actually enforce it. Maybe it will be like the metermaid coming by and taping a notice to your forehead. Then again if I got 3 hours of sleep on a flight I'd be like "whoo whoo".
replace your mask every 3 hours.
)) Insane!
Claudia Costco sales great ones too. I'm taking a box of 50. just in case.
Mil, I got the Costco ones when they first started offering them - blue surgical with byd logo. Seemed fine until I wore the ones the hospital uses. Big difference. But Costco might be providing better ones now.
Every three hours is good when you are being super safe like in the Operating room. Once they become wet with your breathing, it really makes them far less effective. But would not want to be the flight attendant….I’m sure KLM never thought of that. Maybe they will ask you to write the time on the mask that you put it on!
Claudia, my wife is worried about suffocating on a long KLM flight in our Costco masks. What is your source for better, more breathable ones?
mil, I appreciate your sentiment! Every Tauck tour we've been on has been filled with positive people. There will always be the occasional snarky comment on line (some people seem to drop their filters when they're on line) but I think mostly this forum is filled with travel enthusiasts trying to figure out how to make joyful travel work when there are lots of new rules and precautions.
As far as me, yep, a negative one, I’d rather call it realistic based on the available science.
I’m super well behaved on tours but have had to endure moaners and complainers and people who do not listen on tour, people who talk loudly on the bus while the TD is talking.
Do you know the TD’s make notes about people and send them to Tauck headquarters and they go on our files!
We have traveled twice recently and it was wonderful, but in the US. We are traveling in the US in January too. Waiting until it becomes less of a hassle to travel internationally….our first trip will be Costa Rica in January, hope it has I,proved by then.
Rick, no one has suffocated in a mask, please don’t worry. Only infants who can’t remove a mask themselves, and people with severe COPD who should probably be on oxygen are at any risk. Anyone else, if they can’t breath sufficiently, which is unlikely, the body will sub consciously pull the mask off. I’ve worn double masks doing aerobic exercise when it’s hot and been fine. It makes you hot, but you can still breath. I suggest some slow breathing exercises. I find them useful when I first start snorkeling to slow my breathing down. Hyperventilating can make you feel faint.
The ones that Presbyterian Health uses here for patients and staff are HALYARD FLUIDSHIELD 1 Procedure Mask, w/SO Soft Lining, 25867 (Box of 50). $13.18 at Amazon. Amazon's picture is lavender but it actually says yellow which is what I've been given here.
Thanks, mil, for your heartfelt post. I am also sometimes dismayed at the change in this forum. I can ignore pessimism, but it is the lack of civility that concerns me the most. It is fine to disagree but people should do so in a respectful manner. This is also a site for all, not a personal, insular chat room for a few. Nonetheless, I have noticed more and more individuals, whether new or returning travelers, join the forum with enthusiasm and for the sole purpose of sharing experiences with a renewed hope for the world returning to normalcy. Let's cherish a return to Tauck travel. I wish you all the best!
Thanks kfnknfzk
I just want to recuperate the old Forum spirit!
The "old" forum is gradually returning...inclusiveness, compassion, humility, civility, et al. May all your travel dreams come to fruition and I hope our paths cross some day.
I hear you, kfnknfzk, but on the other hand, these “few” are the ones who are always quick to respond to travelers’ questions while most of us, myself included, sit on the sidelines. IMHO, they have kept this forum interesting while we’re stuck at home.
Thanks, Dottie D, for your response. Your post exemplifies how to disagree by maintaining respect for the other individual. Best wishes and happy travels.
Dottie D - I too appreciate a spectrum of opinions and viewpoints. It is unrealistic and not particularly helpful to merely sugar-coat everything. In my opinion, honesty and true feelings are appreciated. And at times, pessimism has been warranted. I have rarely seen comments that are disrespectful. The phantom flagger(s) seem to get riled by a panoply of comments. There is no rhyme or reason.
Hi Nancy , did anyone has a clue of the The phantom flagger(s) is?
Nothing confirmed ... just guesses
I have my ideas as well.
The masks on airplanes. Many fold the number of ‘incidents’ on airplanes during the pandemic. The masks. You are already at eight thousand feet in the cabin of a jet airplane. You put a mask on and you are now rebreathing your own CO2. How high does that put you? I’m guessing well above 10,000 feet where the FAA says you should be on supplemental oxygen. Hypoxic people do very strange things. They need to get rid of the mask requirement on airplanes as soon as possible.